Concept of TF*IDF Vectors

aditya goel
4 min readOct 22, 2023


Question → Explain the concept of TF-IDF ?

Answer → TF-IDF is a Sparse-Vector method, where there are lots of Zeros with occasional value in there.

1.) TF stands for Term-Frequency. It looks at a sentence OR a paragraph and given a certain query, it will tell you → Compared to the length of that document, how frequent your query is ?

  • q → Stands for Query.
  • D → Stands for Document.
  • f(q, D) → What is the frequency of query “q” in document “D”.
  • f(t, D) → What is the frequency of all terms “t” in our document “D” → Total number of Terms in the document.

2.) IDF stands for Inverse-Document-Frequency. It is calculated for each document. Document here means either a Sentence OR a paragraph. In below example, we have 3 different documents.

  • N → Total number of documents.
  • N (q = ‘is’) → Total number of documents that contains the query “is” into them.

3.) Let’s see some couple of calculations here for TF*IDF :-

Notes :-

==> There are chances that, “Most common words” are not that highly relevant to our query.

==> There are chances that, “Less common words” are more relevant to our query.

4.) Now, we see the entire calculations here :-

Question → Showcase the TF-IDF in Python ?

Step #1.) Here is how our set of 3 documents looks like :-

### Data records that have nothing to do with the piece
<<<
Structure and computed powder XRD pattern of MgCo2S4 (a PBE-relaxed structure; a wavelength of 1.5418 Å).
Intensities are scaled so that the largest is 100.

Cell and atoms:
a = 6.8603 Å, b = 6.9317 Å, c = 9.7076 Å
α = 90.00°, β = 90.00°, γ = 90.00°
Space group Imma (No. 74)
Unique sites:
Mg (0.2500, 0.2500, 0.2500) [4 per cell]
Co (0.0000, 0.0000, 0.0000) [4 per cell]
Co (0.0000, 0.2500, 0.6231) [4 per cell]
S (0.0000, 0.0091, 0.7644) [8 per cell]
S (0.2249, 0.2500, 0.9916) [8 per cell]

Top 6 peaks for 2θ from 10° to 90°, most intense first:
- 2θ = 53.3°, d 1.720, I 100
- 2θ = 30.5°, d 2.930, I 92
- 2θ = 30.3°, d 2.947, I 77
- 2θ = 25.9°, d 3.436, I 70
- 2θ = 36.9°, d 2.438, I 50
- 2θ = 48.6°, d 1.873, I 39
>>>

Step #2.) Next, this is how, we can compute the term : [TF * IDF] :-

Step #3.1) Now let’s check the value of [TF * IDF] for this term :-

Step #3.2) Let’s also check the value of [TF * IDF] for another term :-

Question → TF-IDF are sparse vectors, but obviously whatever we have done above, doesn’t looks much like a vector. So, how do we turn them into the vectors ?

Step #1.) Let’s build the vocabulary :-

Step #2.) Now, we shall take this Vocab and mirror it into a vector, so that for every word, we are going to calculate the TF*IDF for each document.

And here is the vector that we get for “a” :-

And here is the vector that we get for “b” :-

Question → What’s the disadvantage of (TF * IDF) ?

Answer → If the frequency of queries found in a document increases, the score increases linearly. For example →

  • Imagine we have an 1000–word-document (document-1) and it has the word “dog” 10 times There is a good chance that, document is talking about the dogs, right !! Also, there shall be some score == TF*IDF(“dog”, document-1)
  • Now, if number of times the word “dog” appears in another document (document-2) say is 20, then TF*IDF(“dog”, document-2) score for that document shall also double, because the TF*IDF score is directly proportional to the Term-Frequency of word “dog”.

Now, it doesn’t mean that document-2 is more relevant as compared to the document-1, in context of query “dog”. Rather, it may so happen that, the document-2 is just slightly relevant as compared to the document-1. Therefore, in order to address this problem, comes BM25, which we shall discuss in next blog.

